Contents =
____________
CsMg14B (PBE, optimized geometry); formation enthalpy at 0 K = 0.363 eV per atom; total energy = -1.510 eV per atom; V = 382.99 Å³ per cell; SG = No. 187; polymorph energy (0 for the lowest one) = 60 meV per atom
1.0
-2.699 2.376 -5.276
4.537 -4.468 -0.469
-7.586 -7.744 0.393
Mg Cs B
14 1 1
Cartesian
-7.879 -5.280 -4.188 Mg
-4.283 -8.676 -1.716 Mg
1.050 -3.123 -3.849 Mg
-1.000 -5.325 -1.886 Mg
-1.250 -0.859 -3.611 Mg
-3.214 -3.144 -1.657 Mg
-4.992 -4.783 -3.463 Mg
-2.800 -6.941 -3.690 Mg
2.381 -4.295 -1.247 Mg
-5.926 -7.840 -4.362 Mg
-2.005 -3.838 -4.566 Mg
-4.596 -1.928 -4.359 Mg
-6.497 -6.496 -1.487 Mg
-1.405 -8.169 -0.962 Mg
0.114 -2.061 -0.987 Cs
-3.678 -5.933 -0.790 B



HoZnBi2O6 (PBE, optimized geometry); formation enthalpy at 0 K = -2.140 eV per atom; total energy = -6.059 eV per atom; V = 306.66 Å³ per cell; SG = No. 31
1.0
5.602 0.000 0.000
0.000 6.386 0.000
0.000 0.000 8.573
Bi O Zn Ho
4 12 2 2
Cartesian
0.042 1.393 2.078 Bi
2.843 4.992 2.208 Bi
0.042 1.393 6.494 Bi
2.843 4.992 6.365 Bi
4.480 3.373 2.846 O
0.853 1.649 4.286 O
3.636 0.647 2.732 O
4.480 3.373 5.727 O
0.835 5.738 7.019 O
3.654 4.737 0.000 O
3.636 0.647 5.841 O
4.817 2.054 0.000 O
1.679 3.012 7.132 O
1.679 3.012 1.440 O
0.835 5.738 1.554 O
2.017 4.332 4.286 O
0.179 3.765 4.286 Zn
2.980 2.621 0.000 Zn
0.235 4.248 0.000 Ho
3.036 2.138 4.286 Ho



Among the records above, which one has the highest V?
CsMg14B

=====

1.
# Li2FeSi3O8 | the Materials Project | GGA+U | relaxed
data_Li2FeSi3O8
_symmetry_space_group_name_H-M 'P 1 21 1'
_symmetry_Int_Tables_number 4
_cell_length_a 7.813
_cell_length_b 8.313
_cell_length_c 10.925
_cell_angle_alpha 90.00
_cell_angle_beta 93.48
_cell_angle_gamma 90.00
loop_
_symmetry_equiv_pos_as_xyz
'x,y,z'
'-x,y+1/2,-z'
loop_
_atom_site_label
_atom_site_type_symbol
_atom_site_fract_x
_atom_site_fract_y
_atom_site_fract_z
Li1 Li 0.034 0.000 0.296
Li2 Li 0.067 0.507 0.003
Li3 Li 0.432 0.006 0.496
Li4 Li 0.466 0.500 0.204
Fe1 Fe 0.203 0.324 0.323
Fe2 Fe 0.297 0.824 0.177
Si1 Si 0.150 0.143 0.584
Si2 Si 0.227 0.795 0.683
Si3 Si 0.245 0.664 0.431
Si4 Si 0.255 0.164 0.069
Si5 Si 0.272 0.295 0.818
Si6 Si 0.349 0.643 0.916
O1 O 0.036 0.735 0.698
O2 O 0.049 0.592 0.448
O3 O 0.144 0.019 0.126
O4 O 0.146 0.285 0.690
O5 O 0.175 0.195 0.925
O6 O 0.238 0.685 0.030
O7 O 0.242 0.834 0.357
O8 O 0.250 0.486 0.853
O9 O 0.250 0.986 0.648
O10 O 0.259 0.334 0.143
O11 O 0.262 0.185 0.470
O12 O 0.325 0.695 0.575
O13 O 0.353 0.785 0.810
O14 O 0.357 0.519 0.375
O15 O 0.451 0.092 0.052
O16 O 0.463 0.235 0.802
# - Excess energy over the best structure of this formula in the dataset: 0.000 eV/atom
# - Crystal system: monoclinic
# - Size of the total moment: 4.0 μB per formula unit
# - Calculated volume: 708.3 Å³/cell
# - Formation energy: -2.807 eV per atom
# - Total DFT energy (no corrections): -398.8 eV/cell

2.
# LiFeSiO4 | the Materials Project | GGA+U | relaxed
data_LiFeSiO4
_symmetry_space_group_name_H-M 'P 63'
_symmetry_Int_Tables_number 173
_cell_length_a 8.7822
_cell_length_b 8.7822
_cell_length_c 8.3009
_cell_angle_alpha 90.00
_cell_angle_beta 90.00
_cell_angle_gamma 120.00
loop_
_symmetry_equiv_pos_as_xyz
'x,y,z'
'x-y,x,z+1/2'
'-y,x-y,z'
'-x,-y,z+1/2'
'-x+y,-x,z'
'y,-x+y,z+1/2'
loop_
_atom_site_label
_atom_site_type_symbol
_atom_site_fract_x
_atom_site_fract_y
_atom_site_fract_z
Li1 Li 0.0000 0.0000 0.0000
Li2 Li 0.3333 0.6667 0.1691
Li3 Li 0.3333 0.6667 0.7349
Fe1 Fe 0.0446 0.6867 0.4479
Si1 Si 0.0398 0.6838 0.0659
O1 O 0.0984 0.5588 0.9674
O2 O 0.1122 0.8732 0.9716
O3 O 0.1432 0.7245 0.2402
O4 O 0.1762 0.4170 0.5886
# - Excess energy over the best structure of this formula in the dataset: 0.054 eV/atom
# - Crystal system: hexagonal
# - Size of the total moment: 5.0 μB per formula unit
# - Calculated volume: 554.5 Å³/cell
# - Formation energy: -2.482 eV per atom
# - Total DFT energy (no corrections): -287.8 eV/cell

- Which of these has the lowest calculated volume?
  LiFeSiO4
____________
Assignment =
Type out the lines above up to the one that holds "-2.699 2.376", that line included.
Result =
CsMg14B (PBE, optimized geometry); formation enthalpy at 0 K = 0.363 eV per atom; total energy = -1.510 eV per atom; V = 382.99 Å³ per cell; SG = No. 187; polymorph energy (0 for the lowest one) = 60 meV per atom
1.0
-2.699 2.376 -5.276